Author Archives: KylieQ

Goodreads: What’s the point?

Social networking can be both a blessing and a curse for the writer.  A blessing because it gives us an avenue to connect with both writers and readers, but a curse because it can be a massive timesink.  So when a new social networking site starts up, I usually avoid it.  I can find plenty of ways to proscrastinate as it is, thanks very much.  Google+, LinkedIn, Pinterest – I haven’t tried them (although I confess I’m eyeing Pinterest with interest).   So when I first found Goodreads, I was hesitant to jump in.  But, oh boy, am I glad I did.

I admit it: I’m a Goodreads junkie.  As soon as I start a new book, I update Goodreads.  When I finish the book, I rate it.  I’m constantly adding to my “to read” list and right now I have more books listed there than I could read in 18 months.  So what are the benefits of Goodreads?

For the reader:

  1.  A place to interact with writers I enjoy.  I can follow them, see what they’re reading, what they’ve liked and not liked.
  2. A place to store my ever-expanding “to read” list.  No longer is my desk covered with post-it notes bearing scribbled reminders about books I thought looked interesting.  Now it’s all in Goodreads.
  3. I can see what my friends are reading.  A lot of the books on my “to read” list are there because a friend added them to their list.
  4. I can show my friends what I think of each book I read.  My personal policy is that I don’t rate any book as less than three stars.  If I disliked it to that extent, I leave it unstarred.  I also have a “not finished” shelf for the books I couldn’t bear to persist with.
  5. I can check out reviews and ratings of books I’m considering reading before I purchase.   On the odd occasion that I’ve ignored low ratings and scathing reviews, I’ve left the book unfinished.  Unfortunately I have gotten caught a couple of times with books that had high ratings and glowing reviews but which turned out to be awful.
  6. I can connect with other readers via various reading groups.

But what about the benefits of Goodreads for the writer?

I got as far as:

  1. A place to interact with readers and potential readers.
  2. A place where readers can easily write reviews and rate books.
  3. A place to generate buzz by providing giveaways and writing blogs.  Your Goodreads account can be synced with your blog for easy updating (although, I confess it bores me seeing the same blog post everywhere I follow a writer).
  4. A place to connect with like-minded writers via various reading groups.

What am I missing here?  How else does Goodreads benefit writers?  Or is it more about the reader?  Should writers stay out of the way?


Does Writer’s Block Exist?

Back in April, I posted about procrastination.  Since then I’ve been thinking about writer’s block and whether or not it actually exists.  Sure, I struggle to write at times.  Actually I struggle to write most of the time.  But I can usually identify a reason: fatigue, stress, not knowing my characters well enough, not knowing where the story is heading, not being in a creative mood…  I can give you any number of reasons why I can’t write today.  But is it “writer’s block”?  Or is it just me making excuses?

In the movie Stranger than Fiction, one of the lead characters is a writer who is unable to come up with a way to kill off a character in her book.  The plot paints her as a wildly successful writer who is paralysed by her own success.  But is this necessarily “writer’s block” or a case of someone who lets herself be overcome by circumstances to the point where she can no longer write?

I’ve read several theories about what causes writer’s block – it’s a result of stressful conditions, it’s a disruption to activity in a particular part of the brain, it’s a writer running out of inspiration…  I’m not arguing these aren’t all real issues that can halt the flow of words but aren’t we using them as excuses?  We’re too tired, too stressed, too busy to write, so we tell ourselves we have writer’s block.  What other profession would accept this as a valid reason for not producing the required work?  I’m sorry, I can’t paint your house today because I have painter’s block.  I can’t clean your teeth because I have dentist’s block.  I can’t sell you any milk because I have shop assistant’s block.  It’s really quite ludicrous when you think about it.

So I’ve decided I will no longer believe in writer’s block.  If Santa Claus and the Easter Bunny stop coming around because we no longer believe in them then I choose to believe that writer’s block will disappear if I don’t believe in that either.

This doesn’t mean I won’t ever be too tired or too busy to write.  It doesn’t mean I won’t ever have one of those days when I sit at the computer for hours without writing a single word.  It doesn’t mean writing will suddenly become easy.  It just means I have one fewer excuse for why I’m not producing what I know I can.

What excuses do you dress up as writer’s block?

Sunday Reads: 12 August 2012

Inspiration? Motivation? Publishing news?  Check out today’s reads:


Cory Doctorow – Apple Won’t Carry an Ebook Because it Mentions Amazon

Amanda S Green – Where Are the Howls of Outrage?

Chris Meadows – Is David Pogue Bourne to be Wild, or a Bourne Loser?

James Scott Bell – 7 Things Writers Need to do Right Now

Ed Cyzewski – When Self-Publishing is More Useful as a Marketing Tool

Jane Friedman – What Authors Seem to Forget About Marketing – Especially Those Who Dislike It

Self-Publishing Review – Book Sales Aren’t Everything

Inserted here: data records:
........
DFT (the ωB97M-V functional and the def2-TZVPD basis) results for a cluster of 13 separate species, C31H62O47S8 in total.

Calculated values
DFT total energy   -7939.7702 a.u.
LUMO level   0.05 eV

Each atom is followed by the atoms it is bonded to, with distances in Å.
CARTESIAN COORDINATES (ANGSTROEM)
1 C 1.836 -8.127 -0.819  C2 1.597, O7 1.397, H8 1.090, H9 1.090
2 C 1.829 -7.202 0.482  C1 1.597, O3 1.372, H10 1.090, H11 1.090
3 O 1.623 -6.030 -0.203  C2 1.372, S4 1.688
4 S 2.754 -5.840 -1.441  O3 1.688, O5 1.446, O6 1.502, O7 1.640
5 O 4.067 -5.848 -0.837  S4 1.446
6 O 2.361 -4.793 -2.444  S4 1.502
7 O 2.327 -7.362 -1.880  C1 1.397, S4 1.640
8 H 0.915 -8.589 -1.176  C1 1.090
9 H 2.566 -8.927 -0.698  C1 1.090
10 H 2.765 -7.344 1.022  C2 1.090
11 H 0.998 -7.462 1.137  C2 1.090
12 C 4.894 3.551 -2.504  C13 1.508, O18 1.446, H19 1.090, H20 1.090
13 C 4.837 3.791 -3.992  C12 1.508, O14 1.369, H21 1.090, H22 1.090
14 O 4.131 2.779 -4.586  C13 1.369, S15 1.666
15 S 4.317 1.388 -3.689  O14 1.666, O16 1.471, O17 1.501, O18 1.636
16 O 5.297 0.464 -4.280  S15 1.471
17 O 2.994 0.821 -3.262  S15 1.501
18 O 4.895 2.114 -2.341  C12 1.446, S15 1.636
19 H 3.934 3.877 -2.105  C12 1.090
20 H 5.609 4.201 -2.000  C12 1.090
21 H 5.804 3.872 -4.488  C13 1.090
22 H 4.464 4.761 -4.317  C13 1.090
23 C -0.752 2.594 -3.193  C24 1.521, O29 1.444, H30 1.090, H31 1.090
24 C -0.990 2.014 -4.579  C23 1.521, O25 1.481, H32 1.090, H33 1.090
25 O -0.406 2.872 -5.635  C24 1.481, S26 1.625
26 S -0.166 4.331 -4.959  O25 1.625, O27 1.491, O28 1.462, O29 1.595
27 O -1.456 5.075 -5.032  S26 1.491
28 O 1.086 4.939 -5.406  S26 1.462
29 O 0.078 3.735 -3.500  C23 1.444, S26 1.595
30 H -0.308 1.829 -2.556  C23 1.090
31 H -1.655 3.015 -2.749  C23 1.090
32 H -2.034 1.732 -4.713  C24 1.090
33 H -0.553 1.015 -4.552  C24 1.090
34 C -2.438 -0.018 6.578  C35 1.517, O40 1.480, H41 1.090, H42 1.090
35 C -2.822 1.449 6.519  C34 1.517, O36 1.456, H43 1.090, H44 1.090
36 O -1.563 1.969 6.006  C35 1.456, S37 1.680
37 S -0.604 0.987 5.037  O36 1.680, O38 1.437, O39 1.481, O40 1.663
38 O 0.742 1.006 5.539  S37 1.437
39 O -0.768 1.194 3.580  S37 1.481
40 O -1.467 -0.353 5.512  C34 1.480, S37 1.663
41 H -3.325 -0.623 6.387  C34 1.090
42 H -2.012 -0.273 7.548  C34 1.090
43 H -3.102 1.826 7.503  C35 1.090
44 H -3.683 1.731 5.914  C35 1.090
45 C 4.683 0.242 0.670  C46 1.560, O51 1.406, H52 1.090, H53 1.090
46 C 3.260 0.457 1.272  C45 1.560, O47 1.382, H54 1.090, H55 1.090
47 O 3.108 1.827 1.366  C46 1.382, S48 1.626
48 S 4.516 2.606 1.599  O47 1.626, O49 1.421, O50 1.451, O51 1.642
49 O 4.932 2.410 2.944  S48 1.421
50 O 4.525 3.952 1.056  S48 1.451
51 O 5.205 1.543 0.554  C45 1.406, S48 1.642
52 H 4.700 -0.234 -0.310  C45 1.090
53 H 5.351 -0.291 1.347  C45 1.090
54 H 3.101 -0.075 2.210  C46 1.090
55 H 2.440 0.048 0.682  C46 1.090
56 C -3.973 -0.681 -2.445  C57 1.514, O62 1.453, H63 1.090, H64 1.090
57 C -5.088 -0.665 -1.422  C56 1.514, O58 1.385, H65 1.090, H66 1.090
........

Adrien-Luc Sanders – Six Minutes

Joanna Penn – Marketing Direct to Kindle Readers

August McLaughlin – Pinterest-Friendly Blog Posts: 5 Important Steps



Missed any Fictorians articles this week?

Nancy DiMauro – Promises to Keep

David Carrico – It’s a Book Review! (Fictorian style)

Frank Morin – Building Wisdom

Sunday Reads: 5 August 2012

Looking for some reads to inspire you?  Check out these.

Brian Keene – How to Write 80,000 Words in a Weekend

Erin Bowman – Facing the Blank Page

Guest Blogger Patti Larsen at The Other Side of the Story – One Writer’s Process

James Scott Bell – Successful Fiction Begins With a Great Concept

Roger Colby – 5 Ways to Work With Stubborn Writing

Kyle Wiens – I Won’t Hire People Who Use Poor Grammar

Rachel Aaron – A New Look at Plotting

Amanda S Green – And Now We Wait

Dystel & Goderich – What Really Happened with the Pulitzer

Alison Strachan – Writing Goals: Learning How to Learn About Writing


Missed any Fictorians articles this week?

Evan Braun – Interlocking Pieces (a.k.a. The Martin Effect)

Leigh Galbreath – How to Make Highway Robbery Work for You

Matt Jones – Distractions – Stop Working Against Your Technology